-- Excerpt --
+++
Material: YH3O3
Method: DFT, PBE
State: relaxed

E above lowest polymorph: 1 meV/atom
formation energy from the elements: -215 kJ/mol of atoms

Cell: 6.382 6.382 3.518 Å, 90.00 90.00 120.00°
Positions (direct):
Y 0.333 0.667 0.000
Y 0.667 0.333 0.500
H 0.139 0.281 0.538
H 0.142 0.861 0.538
H 0.281 0.142 0.038
H 0.719 0.858 0.538
H 0.858 0.139 0.038
H 0.861 0.719 0.038
O 0.086 0.691 0.495
O 0.309 0.396 0.495
O 0.396 0.086 0.995
O 0.604 0.914 0.495
O 0.691 0.604 0.995
O 0.914 0.309 0.995

~~~~~

1.
Na12Ta2Zn4Si6S3O36 | GGA-PBE | relaxed

a b c (Å): 15.9316 9.2025 22.1368
angles (deg): 90.00 90.02 90.00
Space group Cc (No. 9)
Asymmetric unit:
Na  0.0000  0.1294  0.0000 [4 per cell]
Na  0.0035  0.1822  0.6634 [4 per cell]
Na  0.0132  0.4946  0.2382 [4 per cell]
Na  0.0331  0.1667  0.3226 [4 per cell]
Na  0.1611  0.2983  0.8223 [4 per cell]
Na  0.1622  0.3629  0.1669 [4 per cell]
Na  0.1766  0.0047  0.4071 [4 per cell]
Na  0.2011  0.3059  0.4965 [4 per cell]
Na  0.3179  0.1812  0.9918 [4 per cell]
Na  0.3243  0.1368  0.3288 [4 per cell]
Na  0.3409  0.4811  0.5762 [4 per cell]
Na  0.3568  0.1772  0.6526 [4 per cell]
Ta  0.0010  0.4973  0.8897 [4 per cell]
Ta  0.3404  0.4929  0.7314 [4 per cell]
Zn  0.0087  0.4831  0.0993 [4 per cell]
Zn  0.1643  0.0090  0.7634 [4 per cell]
Zn  0.1729  0.0197  0.5723 [4 per cell]
Zn  0.3392  0.4858  0.4212 [4 per cell]
Si  0.0261  0.1439  0.1632 [4 per cell]
Si  0.1732  0.3024  0.6634 [4 per cell]
Si  0.1915  0.3511  0.3338 [4 per cell]
Si  0.3381  0.2076  0.8362 [4 per cell]
Si  0.3567  0.1463  0.5010 [4 per cell]
Si  0.4864  0.3552  0.3342 [4 per cell]
S  0.0060  0.2125  0.4976 [4 per cell]
S  0.1519  0.3548  0.9965 [4 per cell]
S  0.3209  0.1549  0.1643 [4 per cell]
O  0.0003  0.3019  0.5526 [4 per cell]
O  0.0071  0.3190  0.1620 [4 per cell]
O  0.0135  0.3131  0.4425 [4 per cell]
O  0.0647  0.0671  0.1020 [4 per cell]
O  0.0809  0.0864  0.8274 [4 per cell]
O  0.0826  0.1212  0.4948 [4 per cell]
O  0.0837  0.1215  0.2224 [4 per cell]
O  0.0902  0.4071  0.6567 [4 per cell]
O  0.0978  0.3984  0.9423 [4 per cell]
O  0.0982  0.4367  0.3377 [4 per cell]
O  0.1143  0.4162  0.0521 [4 per cell]
O  0.1544  0.1946  0.9961 [4 per cell]
O  0.1581  0.2046  0.7229 [4 per cell]
O  0.1787  0.1791  0.3241 [4 per cell]
O  0.2012  0.2115  0.6032 [4 per cell]
O  0.2372  0.4173  0.9926 [4 per cell]
O  0.2413  0.4332  0.2757 [4 per cell]
O  0.2439  0.3731  0.3951 [4 per cell]
O  0.2591  0.4112  0.6724 [4 per cell]
O  0.2638  0.0937  0.8246 [4 per cell]
O  0.2662  0.0596  0.4975 [4 per cell]
O  0.2696  0.1317  0.1089 [4 per cell]
O  0.2818  0.0911  0.2186 [4 per cell]
O  0.3237  0.3049  0.8952 [4 per cell]
O  0.3267  0.3200  0.1697 [4 per cell]
O  0.3496  0.3232  0.4962 [4 per cell]
O  0.3562  0.3193  0.7767 [4 per cell]
O  0.4071  0.0984  0.1596 [4 per cell]
O  0.4137  0.0748  0.4406 [4 per cell]
O  0.4150  0.1102  0.5588 [4 per cell]
O  0.4217  0.3814  0.2752 [4 per cell]
O  0.4290  0.3768  0.9938 [4 per cell]
O  0.4297  0.1139  0.8380 [4 per cell]
O  0.4299  0.4386  0.6717 [4 per cell]
O  0.4490  0.4256  0.3946 [4 per cell]
O  0.4914  0.1705  0.3369 [4 per cell]

Calculated density = 3.56 g cm⁻³
DFT total energy = -1597.12 eV per cell
E (MP2020) = -6.730 eV per atom
Calculated formation energy = -2.48 eV per atom
Volume = 12.88 Å³/atom



2.
Al12Si12Ag16S5O48 | GGA-PBE | relaxed

a b c (Å): 8.9836 9.0300 17.9562
angles (deg): 90.06 90.18 90.09
Space group P1 (No. 1)
Asymmetric unit:
Al  0.0000  0.0000  0.0000 [1 per cell]
Al  0.9999  0.0009  0.4961 [1 per cell]
Al  0.2480  0.4986  0.3725 [1 per cell]
Al  0.2496  0.4998  0.6218 [1 per cell]
Al  0.2509  0.4996  0.8752 [1 per cell]
Al  0.2527  0.4989  0.1237 [1 per cell]
Al  0.5001  0.0020  0.0003 [1 per cell]
Al  0.5008  0.0004  0.4959 [1 per cell]
Al  0.7485  0.2498  0.7496 [1 per cell]
Al  0.7490  0.2529  0.2481 [1 per cell]
Al  0.7499  0.7518  0.2481 [1 per cell]
Al  0.7517  0.7483  0.7495 [1 per cell]
Si  0.2493  0.7500  0.4965 [1 per cell]
+++
-- Job --
Please give back the lines earlier on from the one with "0.604 0.914" to the one with "0.1317" without altering anything.
-- Done --
O 0.604 0.914 0.495
O 0.691 0.604 0.995
O 0.914 0.309 0.995

~~~~~

1.
Na12Ta2Zn4Si6S3O36 | GGA-PBE | relaxed

a b c (Å): 15.9316 9.2025 22.1368
angles (deg): 90.00 90.02 90.00
Space group Cc (No. 9)
Asymmetric unit:
Na  0.0000  0.1294  0.0000 [4 per cell]
Na  0.0035  0.1822  0.6634 [4 per cell]
Na  0.0132  0.4946  0.2382 [4 per cell]
Na  0.0331  0.1667  0.3226 [4 per cell]
Na  0.1611  0.2983  0.8223 [4 per cell]
Na  0.1622  0.3629  0.1669 [4 per cell]
Na  0.1766  0.0047  0.4071 [4 per cell]
Na  0.2011  0.3059  0.4965 [4 per cell]
Na  0.3179  0.1812  0.9918 [4 per cell]
Na  0.3243  0.1368  0.3288 [4 per cell]
Na  0.3409  0.4811  0.5762 [4 per cell]
Na  0.3568  0.1772  0.6526 [4 per cell]
Ta  0.0010  0.4973  0.8897 [4 per cell]
Ta  0.3404  0.4929  0.7314 [4 per cell]
Zn  0.0087  0.4831  0.0993 [4 per cell]
Zn  0.1643  0.0090  0.7634 [4 per cell]
Zn  0.1729  0.0197  0.5723 [4 per cell]
Zn  0.3392  0.4858  0.4212 [4 per cell]
Si  0.0261  0.1439  0.1632 [4 per cell]
Si  0.1732  0.3024  0.6634 [4 per cell]
Si  0.1915  0.3511  0.3338 [4 per cell]
Si  0.3381  0.2076  0.8362 [4 per cell]
Si  0.3567  0.1463  0.5010 [4 per cell]
Si  0.4864  0.3552  0.3342 [4 per cell]
S  0.0060  0.2125  0.4976 [4 per cell]
S  0.1519  0.3548  0.9965 [4 per cell]
S  0.3209  0.1549  0.1643 [4 per cell]
O  0.0003  0.3019  0.5526 [4 per cell]
O  0.0071  0.3190  0.1620 [4 per cell]
O  0.0135  0.3131  0.4425 [4 per cell]
O  0.0647  0.0671  0.1020 [4 per cell]
O  0.0809  0.0864  0.8274 [4 per cell]
O  0.0826  0.1212  0.4948 [4 per cell]
O  0.0837  0.1215  0.2224 [4 per cell]
O  0.0902  0.4071  0.6567 [4 per cell]
O  0.0978  0.3984  0.9423 [4 per cell]
O  0.0982  0.4367  0.3377 [4 per cell]
O  0.1143  0.4162  0.0521 [4 per cell]
O  0.1544  0.1946  0.9961 [4 per cell]
O  0.1581  0.2046  0.7229 [4 per cell]
O  0.1787  0.1791  0.3241 [4 per cell]
O  0.2012  0.2115  0.6032 [4 per cell]
O  0.2372  0.4173  0.9926 [4 per cell]
O  0.2413  0.4332  0.2757 [4 per cell]
O  0.2439  0.3731  0.3951 [4 per cell]
O  0.2591  0.4112  0.6724 [4 per cell]
O  0.2638  0.0937  0.8246 [4 per cell]
O  0.2662  0.0596  0.4975 [4 per cell]
O  0.2696  0.1317  0.1089 [4 per cell]